[What to do]
Now duplicate all of the contents further below verbatim.

[Excerpt]
-- begin --
(1)
Entry from OMol25: an isolated molecule of C3H2N2O3 in a non-equilibrium geometry (the ωB97M-V functional and the def2-TZVPD basis).

Cartesian coordinates (Å):
C 0.079 0.787 -0.212
C -1.120 0.352 0.503
C 0.761 -1.419 -0.296
H 1.182 2.176 -0.563
H -1.746 1.078 0.938
N -1.387 -0.876 0.692
N 0.942 -0.104 -0.540
O 0.194 2.103 -0.299
O -0.475 -1.814 0.226
O 1.570 -2.283 -0.449

Calculated values
HOMO: -0.3958 hartree
Energy: -12264.0962 eV
Structure (SMILES): O=c1nc(O)cno1

***

(2)
Entry from OMol25: the ion C3H2N2O3S3 with charge -2 in a non-equilibrium geometry (the ωB97M-V functional and the def2-TZVPD basis).

Cartesian coordinates (Å):
C -0.067 -0.755 -0.587
C -0.663 0.294 -0.042
C 2.113 0.245 0.042
N 1.304 -0.723 -0.708
N 1.569 1.299 0.399
O -3.108 1.450 0.449
O -2.499 -0.518 1.694
O -2.912 -0.620 -0.732
S 1.634 2.634 1.216
S 3.815 -0.147 0.040
S -2.489 0.173 0.374
H -0.396 -1.770 -1.013
H 1.700 -1.563 -1.134

Calculated values
HOMO (alpha / beta): -0.0321 / -0.0259 hartree
Energy: -44768.5769 eV
Total charge: -2
Structure (SMILES): O=S([O-])([O-])=C=CNC(=S)N=S

***

(3)
Entry from OMol25: an isolated molecule of C3H2N2O4 in a non-equilibrium geometry (the ωB97M-V functional and the def2-TZVPD basis).

Cartesian coordinates (Å):
C 1.275 -0.611 -1.014
C 0.524 1.086 0.950
C -0.540 0.593 -0.002
N 0.885 0.336 -0.090
N -1.362 -0.538 0.453
O -2.550 -0.425 0.304
O 0.849 1.684 1.901
O -0.771 -1.457 0.962
O 0.394 -1.008 -1.707
H 2.332 -0.880 -1.024
H -1.036 1.221 -0.733

Calculated values
HOMO: -0.4165 hartree
Energy: -14308.4334 eV
Structure (SMILES): O=CN1C(=O)[C@@H]1[N+](=O)[O-]

***

(4)
Entry from OMol25: an isolated molecule of C3H2N2OS2 in a non-equilibrium geometry (the ωB97M-V functional and the def2-TZVPD basis).

Cartesian coordinates (Å):
C 0.222 -0.486 -1.285
C -0.116 -0.117 0.722
C -0.247 0.833 1.999
H 1.376 0.343 -3.162
H 0.390 1.809 2.408
N 0.719 0.295 -0.392
N -1.005 -1.026 0.428
O -0.704 -1.413 -0.918
S 0.551 -0.747 -3.085
S -1.187 0.507 3.285

Calculated values
HOMO: -0.3349 hartree
Energy: -29837.9493 eV
Structure (SMILES): S=Cc1noc(S)n1

***

(5)
Entry from OMol25: the ion C3H2N3O2 with charge -1 in a non-equilibrium geometry (the ωB97M-V functional and the def2-TZVPD basis).

Cartesian coordinates (Å):
C -1.479 0.080 -0.611
C -1.334 0.482 0.767
C 2.064 -0.539 -0.081
N -0.259 -0.232 -1.043
N -0.120 0.534 1.130
N 0.614 0.058 -0.188
O 2.391 -0.993 -1.144
O 2.503 -0.449 1.040
H -2.268 0.334 -1.275
H -2.111 0.726 1.405

Calculated values
HOMO: -0.1781 hartree
Energy: -11708.8292 eV
Total charge: -1
Structure (SMILES): O=C([O-])n1nccn1

***

(6)
Entry from OMol25: a structure of composition C3H2N4 in a non-equilibrium geometry (the ωB97M-V functional and the def2-TZVPD basis).

Cartesian coordinates (Å):
C 2.620 -0.001 -0.027
C 1.386 -0.229 -0.004
C -0.005 -0.239 -0.195
H 3.669 -0.285 0.247
H -2.539 1.235 0.072
N -0.835 -1.228 -0.104
N -2.013 -0.710 0.117
N -1.748 0.526 -0.089
N -0.535 0.931 -0.017

Calculated values
HOMO: -0.3650 hartree
Energy: -9099.0362 eV

***

(7)
Entry from OMol25: an isolated molecule of C3H2N4 in a non-equilibrium geometry (the ωB97M-V functional and the def2-TZVPD basis).

Cartesian coordinates (Å):
N 2.506 -0.480 -0.145
C 1.358 -0.387 -0.299
C 0.826 1.958 0.487
C -0.006 -0.670 -0.579
N -1.085 -0.287 0.086
N -1.332 0.744 0.859
N -0.233 1.527 0.813
H -0.108 -1.526 -1.225
H -1.904 -0.882 0.003

Calculated values
HOMO (alpha / beta): -0.3410 / -0.3409 hartree
Energy: -9098.4537 eV

***

(8)
Entry from OMol25: an isolated molecule of C3H2N4O in a non-equilibrium geometry (the ωB97M-V functional and the def2-TZVPD basis).

Cartesian coordinates (Å):
C 0.880 -0.060 -0.046
C 0.059 -1.419 -0.361
C 0.321 1.436 -0.100
H 0.612 -2.413 -0.357
H 1.268 2.094 0.226
N -1.228 -1.534 0.058
N -1.588 -0.230 0.658
N -1.486 0.430 -0.303
N -0.941 1.849 -0.046
O 2.102 -0.152 0.271

Calculated values
HOMO: -0.3733 hartree
Energy: -11144.1210 eV
Structure (SMILES): O=c1cnnnnc1

***

(9)
-- stop --

[Solution]
(1)
Entry from OMol25: an isolated molecule of C3H2N2O3 in a non-equilibrium geometry (the ωB97M-V functional and the def2-TZVPD basis).

Cartesian coordinates (Å):
C 0.079 0.787 -0.212
C -1.120 0.352 0.503
C 0.761 -1.419 -0.296
H 1.182 2.176 -0.563
H -1.746 1.078 0.938
N -1.387 -0.876 0.692
N 0.942 -0.104 -0.540
O 0.194 2.103 -0.299
O -0.475 -1.814 0.226
O 1.570 -2.283 -0.449

Calculated values
HOMO: -0.3958 hartree
Energy: -12264.0962 eV
Structure (SMILES): O=c1nc(O)cno1

***

(2)
Entry from OMol25: the ion C3H2N2O3S3 with charge -2 in a non-equilibrium geometry (the ωB97M-V functional and the def2-TZVPD basis).

Cartesian coordinates (Å):
C -0.067 -0.755 -0.587
C -0.663 0.294 -0.042
C 2.113 0.245 0.042
N 1.304 -0.723 -0.708
N 1.569 1.299 0.399
O -3.108 1.450 0.449
O -2.499 -0.518 1.694
O -2.912 -0.620 -0.732
S 1.634 2.634 1.216
S 3.815 -0.147 0.040
S -2.489 0.173 0.374
H -0.396 -1.770 -1.013
H 1.700 -1.563 -1.134

Calculated values
HOMO (alpha / beta): -0.0321 / -0.0259 hartree
Energy: -44768.5769 eV
Total charge: -2
Structure (SMILES): O=S([O-])([O-])=C=CNC(=S)N=S

***

(3)
Entry from OMol25: an isolated molecule of C3H2N2O4 in a non-equilibrium geometry (the ωB97M-V functional and the def2-TZVPD basis).

Cartesian coordinates (Å):
C 1.275 -0.611 -1.014
C 0.524 1.086 0.950
C -0.540 0.593 -0.002
N 0.885 0.336 -0.090
N -1.362 -0.538 0.453
O -2.550 -0.425 0.304
O 0.849 1.684 1.901
O -0.771 -1.457 0.962
O 0.394 -1.008 -1.707
H 2.332 -0.880 -1.024
H -1.036 1.221 -0.733

Calculated values
HOMO: -0.4165 hartree
Energy: -14308.4334 eV
Structure (SMILES): O=CN1C(=O)[C@@H]1[N+](=O)[O-]

***

(4)
Entry from OMol25: an isolated molecule of C3H2N2OS2 in a non-equilibrium geometry (the ωB97M-V functional and the def2-TZVPD basis).

Cartesian coordinates (Å):
C 0.222 -0.486 -1.285
C -0.116 -0.117 0.722
C -0.247 0.833 1.999
H 1.376 0.343 -3.162
H 0.390 1.809 2.408
N 0.719 0.295 -0.392
N -1.005 -1.026 0.428
O -0.704 -1.413 -0.918
S 0.551 -0.747 -3.085
S -1.187 0.507 3.285

Calculated values
HOMO: -0.3349 hartree
Energy: -29837.9493 eV
Structure (SMILES): S=Cc1noc(S)n1

***

(5)
Entry from OMol25: the ion C3H2N3O2 with charge -1 in a non-equilibrium geometry (the ωB97M-V functional and the def2-TZVPD basis).

Cartesian coordinates (Å):
C -1.479 0.080 -0.611
C -1.334 0.482 0.767
C 2.064 -0.539 -0.081
N -0.259 -0.232 -1.043
N -0.120 0.534 1.130
N 0.614 0.058 -0.188
O 2.391 -0.993 -1.144
O 2.503 -0.449 1.040
H -2.268 0.334 -1.275
H -2.111 0.726 1.405

Calculated values
HOMO: -0.1781 hartree
Energy: -11708.8292 eV
Total charge: -1
Structure (SMILES): O=C([O-])n1nccn1

***

(6)
Entry from OMol25: a structure of composition C3H2N4 in a non-equilibrium geometry (the ωB97M-V functional and the def2-TZVPD basis).

Cartesian coordinates (Å):
C 2.620 -0.001 -0.027
C 1.386 -0.229 -0.004
C -0.005 -0.239 -0.195
H 3.669 -0.285 0.247
H -2.539 1.235 0.072
N -0.835 -1.228 -0.104
N -2.013 -0.710 0.117
N -1.748 0.526 -0.089
N -0.535 0.931 -0.017

Calculated values
HOMO: -0.3650 hartree
Energy: -9099.0362 eV

***

(7)
Entry from OMol25: an isolated molecule of C3H2N4 in a non-equilibrium geometry (the ωB97M-V functional and the def2-TZVPD basis).

Cartesian coordinates (Å):
N 2.506 -0.480 -0.145
C 1.358 -0.387 -0.299
C 0.826 1.958 0.487
C -0.006 -0.670 -0.579
N -1.085 -0.287 0.086
N -1.332 0.744 0.859
N -0.233 1.527 0.813
H -0.108 -1.526 -1.225
H -1.904 -0.882 0.003

Calculated values
HOMO (alpha / beta): -0.3410 / -0.3409 hartree
Energy: -9098.4537 eV

***

(8)
Entry from OMol25: an isolated molecule of C3H2N4O in a non-equilibrium geometry (the ωB97M-V functional and the def2-TZVPD basis).

Cartesian coordinates (Å):
C 0.880 -0.060 -0.046
C 0.059 -1.419 -0.361
C 0.321 1.436 -0.100
H 0.612 -2.413 -0.357
H 1.268 2.094 0.226
N -1.228 -1.534 0.058
N -1.588 -0.230 0.658
N -1.486 0.430 -0.303
N -0.941 1.849 -0.046
O 2.102 -0.152 0.271

Calculated values
HOMO: -0.3733 hartree
Energy: -11144.1210 eV
Structure (SMILES): O=c1cnnnnc1

***

(9)